Job >
Echo all of the block underneath verbatim.

Listing >
-- begin --
VASP calculation (GGA-PBE) on an optimized crystal structure of YAl10Re2.

Cell and atoms, written as POSCAR:
```
YAl10Re2
1.0
4.593 -5.176 0.000
4.593 5.176 0.000
0.000 0.000 9.199
Y Al Re
2 20 4
Direct
0.130 0.870 0.750
0.870 0.130 0.250
0.141 0.408 0.750
0.150 0.850 0.096
0.150 0.850 0.404
0.211 0.471 0.250
0.226 0.226 0.000
0.226 0.226 0.500
0.376 0.624 0.536
0.376 0.624 0.964
0.408 0.141 0.250
0.471 0.211 0.750
0.529 0.789 0.250
0.592 0.859 0.750
0.624 0.376 0.036
0.624 0.376 0.464
0.774 0.774 0.000
0.774 0.774 0.500
0.789 0.529 0.750
0.850 0.150 0.596
0.850 0.150 0.904
0.859 0.592 0.250
0.000 0.500 0.000
0.000 0.500 0.500
0.500 0.000 0.000
0.500 0.000 0.500
```

calculated formation energy	-0.347	eV per atom
offset from the most stable computed form	11	meV per atom

VASP calculation (GGA-PBE) on an optimized crystal structure of YAl2Re.

Cell and atoms, written as POSCAR:
```
YAl2Re
1.0
4.163 0.000 0.000
0.000 4.163 0.000
0.000 0.000 19.136
Y Al Re
4 8 4
Direct
0.000 0.000 0.000
0.000 0.500 0.250
0.500 0.000 0.750
0.500 0.500 0.500
0.183 0.250 0.625
0.250 0.683 0.875
0.250 0.817 0.375
0.317 0.250 0.125
0.683 0.750 0.125
0.750 0.183 0.375
0.750 0.317 0.875
0.817 0.750 0.625
0.000 0.000 0.500
0.000 0.500 0.750
0.500 0.000 0.250
0.500 0.500 0.000
```

calculated formation energy	0.363	eV per atom
offset from the most stable computed form	591	meV per atom

VASP calculation (GGA-PBE) on an optimized crystal structure of Y2AlRe3.

Cell and atoms, written as POSCAR:
```
Y2AlRe3
1.0
2.677 1.546 4.536
-2.677 1.546 4.536
0.000 -3.092 4.536
Y Al Re
2 1 3
Direct
0.122 0.122 0.122
0.878 0.878 0.878
0.500 0.500 0.500
0.000 0.500 0.500
0.500 0.000 0.500
0.500 0.500 0.000
```

calculated formation energy	-0.306	eV per atom

Calculated volume: 16.8; 20.7; 18.8 (Å³/atom)

~~~~~

(1)
This record from Alexandria describes a geometry-optimized SrLi4Er structure. The functional is PBE.

Values from the calculation:
Size of the total moment (μB per formula unit): 0.0
Raw total energy (Ry/atom): -0.1609
ΔE_f (kJ/mol of formula units): 73.7

Lattice parameters (Å, degrees): 8.669 8.669 8.669 90.00 90.00 90.00
Space group F-43m (No. 216)
Symmetry-distinct sites (fractional):
Sr 0.000 0.000 0.000 (multiplicity 4)
Li 0.123 0.123 0.377 (multiplicity 16)
Er 0.250 0.250 0.750 (multiplicity 4)

(2)
This record from Alexandria describes a geometry-optimized SrLi2Er structure. The functional is PBE.

Values from the calculation:
Size of the total moment (μB per formula unit): 0.0
Raw total energy (Ry/atom): -0.1745
ΔE_f (kJ/mol of formula units): 55.6
Distance to the lowest polymorph of the same formula (eV/atom): 0.0000

Lattice parameters (Å, degrees): 3.880 3.880 8.052 90.00 90.00 90.00
Space group P4/mmm (No. 123)
Symmetry-distinct sites (fractional):
Sr 0.000 0.000 0.000 (multiplicity 1)
Li 0.500 0.500 0.283 (multiplicity 2)
Er 0.000 0.000 0.500 (multiplicity 1)

(3)
This record from Alexandria describes a geometry-optimized Sr2Li16Er structure. The functional is PBE.

Values from the calculation:
Size of the total moment (μB per formula unit): 0.0
Raw total energy (Ry/atom): -0.1456
ΔE_f (kJ/mol of formula units): 87.6

Lattice parameters (Å, degrees): 10.3440 10.3440 15.0912 90.00 90.00 120.00
Space group R3m (No. 160, hexagonal axes)
Symmetry-distinct sites (fractional):
Sr 0.0000 0.0000 0.0000 (multiplicity 3)
Sr 0.0000 0.0000 0.3064 (multiplicity 3)
Li 0.0000 0.0000 0.7606 (multiplicity 3)
Li 0.0002 0.5001 0.8083 (multiplicity 9)
Li 0.0074 0.5037 0.5023 (multiplicity 9)
Li 0.0405 0.3732 0.3235 (multiplicity 18)
Li 0.1716 0.3432 0.4874 (multiplicity 9)
Er 0.0000 0.0000 0.5587 (multiplicity 3)

~~~~~

Entry 1:
This record from the Alexandria database describes Sc2CdTe2 after structural relaxation. The functional is PBE.

a b c (Å): 8.0319 8.0319 3.8393
angles (deg): 90.00 90.00 90.00
Each line ends with the local moment (μB).
Positions (direct):
Sc (0.3565, 0.8565, 0.0000)  0.12
Sc (0.8565, 0.6435, 0.0000)  0.14
Sc (0.6435, 0.1435, 0.0000)  0.12
-- stop --

Worked solution >
VASP calculation (GGA-PBE) on an optimized crystal structure of YAl10Re2.

Cell and atoms, written as POSCAR:
```
YAl10Re2
1.0
4.593 -5.176 0.000
4.593 5.176 0.000
0.000 0.000 9.199
Y Al Re
2 20 4
Direct
0.130 0.870 0.750
0.870 0.130 0.250
0.141 0.408 0.750
0.150 0.850 0.096
0.150 0.850 0.404
0.211 0.471 0.250
0.226 0.226 0.000
0.226 0.226 0.500
0.376 0.624 0.536
0.376 0.624 0.964
0.408 0.141 0.250
0.471 0.211 0.750
0.529 0.789 0.250
0.592 0.859 0.750
0.624 0.376 0.036
0.624 0.376 0.464
0.774 0.774 0.000
0.774 0.774 0.500
0.789 0.529 0.750
0.850 0.150 0.596
0.850 0.150 0.904
0.859 0.592 0.250
0.000 0.500 0.000
0.000 0.500 0.500
0.500 0.000 0.000
0.500 0.000 0.500
```

calculated formation energy	-0.347	eV per atom
offset from the most stable computed form	11	meV per atom

VASP calculation (GGA-PBE) on an optimized crystal structure of YAl2Re.

Cell and atoms, written as POSCAR:
```
YAl2Re
1.0
4.163 0.000 0.000
0.000 4.163 0.000
0.000 0.000 19.136
Y Al Re
4 8 4
Direct
0.000 0.000 0.000
0.000 0.500 0.250
0.500 0.000 0.750
0.500 0.500 0.500
0.183 0.250 0.625
0.250 0.683 0.875
0.250 0.817 0.375
0.317 0.250 0.125
0.683 0.750 0.125
0.750 0.183 0.375
0.750 0.317 0.875
0.817 0.750 0.625
0.000 0.000 0.500
0.000 0.500 0.750
0.500 0.000 0.250
0.500 0.500 0.000
```

calculated formation energy	0.363	eV per atom
offset from the most stable computed form	591	meV per atom

VASP calculation (GGA-PBE) on an optimized crystal structure of Y2AlRe3.

Cell and atoms, written as POSCAR:
```
Y2AlRe3
1.0
2.677 1.546 4.536
-2.677 1.546 4.536
0.000 -3.092 4.536
Y Al Re
2 1 3
Direct
0.122 0.122 0.122
0.878 0.878 0.878
0.500 0.500 0.500
0.000 0.500 0.500
0.500 0.000 0.500
0.500 0.500 0.000
```

calculated formation energy	-0.306	eV per atom

Calculated volume: 16.8; 20.7; 18.8 (Å³/atom)

~~~~~

(1)
This record from Alexandria describes a geometry-optimized SrLi4Er structure. The functional is PBE.

Values from the calculation:
Size of the total moment (μB per formula unit): 0.0
Raw total energy (Ry/atom): -0.1609
ΔE_f (kJ/mol of formula units): 73.7

Lattice parameters (Å, degrees): 8.669 8.669 8.669 90.00 90.00 90.00
Space group F-43m (No. 216)
Symmetry-distinct sites (fractional):
Sr 0.000 0.000 0.000 (multiplicity 4)
Li 0.123 0.123 0.377 (multiplicity 16)
Er 0.250 0.250 0.750 (multiplicity 4)

(2)
This record from Alexandria describes a geometry-optimized SrLi2Er structure. The functional is PBE.

Values from the calculation:
Size of the total moment (μB per formula unit): 0.0
Raw total energy (Ry/atom): -0.1745
ΔE_f (kJ/mol of formula units): 55.6
Distance to the lowest polymorph of the same formula (eV/atom): 0.0000

Lattice parameters (Å, degrees): 3.880 3.880 8.052 90.00 90.00 90.00
Space group P4/mmm (No. 123)
Symmetry-distinct sites (fractional):
Sr 0.000 0.000 0.000 (multiplicity 1)
Li 0.500 0.500 0.283 (multiplicity 2)
Er 0.000 0.000 0.500 (multiplicity 1)

(3)
This record from Alexandria describes a geometry-optimized Sr2Li16Er structure. The functional is PBE.

Values from the calculation:
Size of the total moment (μB per formula unit): 0.0
Raw total energy (Ry/atom): -0.1456
ΔE_f (kJ/mol of formula units): 87.6

Lattice parameters (Å, degrees): 10.3440 10.3440 15.0912 90.00 90.00 120.00
Space group R3m (No. 160, hexagonal axes)
Symmetry-distinct sites (fractional):
Sr 0.0000 0.0000 0.0000 (multiplicity 3)
Sr 0.0000 0.0000 0.3064 (multiplicity 3)
Li 0.0000 0.0000 0.7606 (multiplicity 3)
Li 0.0002 0.5001 0.8083 (multiplicity 9)
Li 0.0074 0.5037 0.5023 (multiplicity 9)
Li 0.0405 0.3732 0.3235 (multiplicity 18)
Li 0.1716 0.3432 0.4874 (multiplicity 9)
Er 0.0000 0.0000 0.5587 (multiplicity 3)

~~~~~

Entry 1:
This record from the Alexandria database describes Sc2CdTe2 after structural relaxation. The functional is PBE.

a b c (Å): 8.0319 8.0319 3.8393
angles (deg): 90.00 90.00 90.00
Each line ends with the local moment (μB).
Positions (direct):
Sc (0.3565, 0.8565, 0.0000)  0.12
Sc (0.8565, 0.6435, 0.0000)  0.14
Sc (0.6435, 0.1435, 0.0000)  0.12